Given:
____________
Molecular formula: C29H31BF4O2
Method: DFT, wB97M-V/def2-TZVPD

The value obtained for the orbital gap is 3.18 eV. Its energy relative to the best compared isomer or geometry (same formula, charge and spin) is 3.859 eV. The value obtained for the HOMO energy is -6.71 eV. The calculation puts the LUMO energy at -3.54 eV. Its strongest force on any atom is 0.076 Eh/bohr.

The geometry in ORCA input format:
```
! wB97M-V def2-TZVPD RIJCOSX def2/J DEFGRID3
* xyz 0 1
C 0.912 0.885 3.947
C 1.087 0.388 2.505
C 2.487 0.733 2.053
C 0.724 -1.176 2.330
C 1.425 -1.886 1.170
C 1.031 -2.013 3.568
O -0.646 -1.172 1.993
B -0.970 0.164 1.558
C -1.856 0.307 0.166
C -2.519 -0.791 -0.360
C -3.474 -0.604 -1.375
C -3.668 0.659 -1.914
C -4.543 0.881 -3.124
F -5.478 1.855 -2.915
F -3.778 1.291 -4.197
F -5.199 -0.250 -3.508
C -3.018 1.767 -1.381
C -2.074 1.583 -0.367
C -2.225 0.535 2.692
C -2.302 1.746 3.533
C -3.376 1.477 2.535
O 0.148 1.050 1.660
H 1.745 0.522 4.566
H 0.934 1.983 3.970
H -0.033 0.555 4.399
H 3.236 0.171 2.629
H 2.623 0.508 0.989
H 2.664 1.808 2.192
H 2.504 -2.009 1.333
H 0.974 -2.888 1.059
H 1.265 -1.338 0.232
H 2.126 -2.020 3.705
H 0.565 -1.622 4.478
H 0.688 -3.050 3.425
H -2.319 -1.795 0.023
H -4.031 -1.449 -1.768
H -3.244 2.762 -1.759
H -1.554 2.455 0.043
H -2.459 -0.390 3.236
H -2.619 1.598 4.566
H -1.600 2.564 3.378
H -3.440 2.076 1.628
H -4.333 1.166 2.962
F 5.337 -1.666 -0.745
C 4.605 -0.545 -1.075
C 5.254 0.687 -1.128
C 4.470 1.840 -1.248
C 3.088 1.748 -1.306
C 2.440 0.480 -1.399
C 1.017 0.378 -1.602
C 0.495 -0.420 -2.656
C -0.800 -0.191 -3.216
C -1.498 -1.223 -3.819
C -0.868 -2.462 -4.044
C 0.517 -2.561 -3.839
C 1.211 -1.502 -3.263
C 3.241 -0.692 -1.272
H 6.339 0.734 -1.074
H 4.958 2.815 -1.286
H 2.470 2.655 -1.339
H 0.383 1.144 -1.142
H -1.236 0.806 -3.120
H -2.543 -1.090 -4.113
H -1.433 -3.302 -4.444
H 1.066 -3.455 -4.135
H 2.297 -1.518 -3.270
H 2.807 -1.693 -1.318
*
```

Molecular formula: C29H31FIrNOPSi
Method: DFT, wB97M-V/def2-TZVPD

The value obtained for the orbital gap (spin up / spin down) is 5.75 / 5.76 eV. Its energy relative to the best compared isomer or geometry (same formula, charge and spin) is 3.316 eV. The value obtained for the HOMO energy (spin up / spin down) is -10.70 / -10.70 eV. The calculation puts the LUMO energy (spin up / spin down) at -4.95 / -4.94 eV. Its strongest force on any atom is 0.036 Eh/bohr.

The geometry in ORCA input format:
```
! wB97M-V def2-TZVPD RIJCOSX def2/J DEFGRID3
* xyz 1 1
Ir 0.611 -0.474 -1.146
O 3.060 -1.187 -2.633
N 2.534 -1.271 -1.336
C 3.444 -1.217 -0.437
C 3.248 -1.334 1.010
C 4.436 -1.524 1.719
C 4.433 -1.726 3.090
C 3.230 -1.733 3.770
C 2.043 -1.537 3.076
C 2.027 -1.333 1.701
P 0.388 -1.049 0.932
C -0.330 0.290 1.923
C -0.082 1.608 1.543
C -0.583 2.660 2.292
C -1.342 2.404 3.427
C -1.591 1.096 3.813
C -1.088 0.041 3.066
C -0.560 -2.536 1.325
C 0.074 -3.752 1.566
C -0.678 -4.897 1.787
C -2.063 -4.831 1.771
C -2.700 -3.621 1.526
C -1.954 -2.478 1.297
H 2.607 -1.883 -3.130
H 4.470 -1.143 -0.789
H 5.376 -1.519 1.183
H 5.365 -1.871 3.617
H 3.206 -1.880 4.841
H 1.110 -1.531 3.624
H 0.507 1.813 0.658
H -0.385 3.679 1.989
H -1.740 3.225 4.008
H -2.184 0.894 4.695
H -1.299 -0.975 3.374
H 1.155 -3.815 1.584
H -0.180 -5.838 1.975
H -2.648 -5.723 1.949
H -3.781 -3.568 1.508
H -2.458 -1.541 1.092
F -5.436 -0.805 -2.241
C -4.116 -0.715 -2.007
C -3.355 -1.870 -2.024
C -1.999 -1.775 -1.751
C -1.386 -0.541 -1.500
C -2.199 0.610 -1.514
C -3.566 0.525 -1.757
H -3.828 -2.820 -2.233
H -1.407 -2.683 -1.738
H -1.769 1.582 -1.333
H -4.198 1.403 -1.764
C 1.849 4.488 -2.184
Si 0.487 3.484 -2.972
C 0.422 3.730 -4.813
C -1.143 3.929 -2.171
C 0.862 1.675 -2.613
H 1.675 5.552 -2.356
H 2.826 4.240 -2.600
H 1.892 4.332 -1.104
H 0.189 4.769 -5.051
H -0.346 3.105 -5.272
H 1.378 3.490 -5.282
H -1.322 5.002 -2.273
H -1.147 3.696 -1.104
H -1.979 3.405 -2.637
H 0.848 0.876 -3.352
H 1.088 1.393 -1.617
*
```

Molecular formula: C29H31N3O4Pd
Method: DFT, wB97M-V/def2-TZVPD
____________

Job:
Your job: give back the material further above verbatim.

Response:
Molecular formula: C29H31BF4O2
Method: DFT, wB97M-V/def2-TZVPD

The value obtained for the orbital gap is 3.18 eV. Its energy relative to the best compared isomer or geometry (same formula, charge and spin) is 3.859 eV. The value obtained for the HOMO energy is -6.71 eV. The calculation puts the LUMO energy at -3.54 eV. Its strongest force on any atom is 0.076 Eh/bohr.

The geometry in ORCA input format:
```
! wB97M-V def2-TZVPD RIJCOSX def2/J DEFGRID3
* xyz 0 1
C 0.912 0.885 3.947
C 1.087 0.388 2.505
C 2.487 0.733 2.053
C 0.724 -1.176 2.330
C 1.425 -1.886 1.170
C 1.031 -2.013 3.568
O -0.646 -1.172 1.993
B -0.970 0.164 1.558
C -1.856 0.307 0.166
C -2.519 -0.791 -0.360
C -3.474 -0.604 -1.375
C -3.668 0.659 -1.914
C -4.543 0.881 -3.124
F -5.478 1.855 -2.915
F -3.778 1.291 -4.197
F -5.199 -0.250 -3.508
C -3.018 1.767 -1.381
C -2.074 1.583 -0.367
C -2.225 0.535 2.692
C -2.302 1.746 3.533
C -3.376 1.477 2.535
O 0.148 1.050 1.660
H 1.745 0.522 4.566
H 0.934 1.983 3.970
H -0.033 0.555 4.399
H 3.236 0.171 2.629
H 2.623 0.508 0.989
H 2.664 1.808 2.192
H 2.504 -2.009 1.333
H 0.974 -2.888 1.059
H 1.265 -1.338 0.232
H 2.126 -2.020 3.705
H 0.565 -1.622 4.478
H 0.688 -3.050 3.425
H -2.319 -1.795 0.023
H -4.031 -1.449 -1.768
H -3.244 2.762 -1.759
H -1.554 2.455 0.043
H -2.459 -0.390 3.236
H -2.619 1.598 4.566
H -1.600 2.564 3.378
H -3.440 2.076 1.628
H -4.333 1.166 2.962
F 5.337 -1.666 -0.745
C 4.605 -0.545 -1.075
C 5.254 0.687 -1.128
C 4.470 1.840 -1.248
C 3.088 1.748 -1.306
C 2.440 0.480 -1.399
C 1.017 0.378 -1.602
C 0.495 -0.420 -2.656
C -0.800 -0.191 -3.216
C -1.498 -1.223 -3.819
C -0.868 -2.462 -4.044
C 0.517 -2.561 -3.839
C 1.211 -1.502 -3.263
C 3.241 -0.692 -1.272
H 6.339 0.734 -1.074
H 4.958 2.815 -1.286
H 2.470 2.655 -1.339
H 0.383 1.144 -1.142
H -1.236 0.806 -3.120
H -2.543 -1.090 -4.113
H -1.433 -3.302 -4.444
H 1.066 -3.455 -4.135
H 2.297 -1.518 -3.270
H 2.807 -1.693 -1.318
*
```

Molecular formula: C29H31FIrNOPSi
Method: DFT, wB97M-V/def2-TZVPD

The value obtained for the orbital gap (spin up / spin down) is 5.75 / 5.76 eV. Its energy relative to the best compared isomer or geometry (same formula, charge and spin) is 3.316 eV. The value obtained for the HOMO energy (spin up / spin down) is -10.70 / -10.70 eV. The calculation puts the LUMO energy (spin up / spin down) at -4.95 / -4.94 eV. Its strongest force on any atom is 0.036 Eh/bohr.

The geometry in ORCA input format:
```
! wB97M-V def2-TZVPD RIJCOSX def2/J DEFGRID3
* xyz 1 1
Ir 0.611 -0.474 -1.146
O 3.060 -1.187 -2.633
N 2.534 -1.271 -1.336
C 3.444 -1.217 -0.437
C 3.248 -1.334 1.010
C 4.436 -1.524 1.719
C 4.433 -1.726 3.090
C 3.230 -1.733 3.770
C 2.043 -1.537 3.076
C 2.027 -1.333 1.701
P 0.388 -1.049 0.932
C -0.330 0.290 1.923
C -0.082 1.608 1.543
C -0.583 2.660 2.292
C -1.342 2.404 3.427
C -1.591 1.096 3.813
C -1.088 0.041 3.066
C -0.560 -2.536 1.325
C 0.074 -3.752 1.566
C -0.678 -4.897 1.787
C -2.063 -4.831 1.771
C -2.700 -3.621 1.526
C -1.954 -2.478 1.297
H 2.607 -1.883 -3.130
H 4.470 -1.143 -0.789
H 5.376 -1.519 1.183
H 5.365 -1.871 3.617
H 3.206 -1.880 4.841
H 1.110 -1.531 3.624
H 0.507 1.813 0.658
H -0.385 3.679 1.989
H -1.740 3.225 4.008
H -2.184 0.894 4.695
H -1.299 -0.975 3.374
H 1.155 -3.815 1.584
H -0.180 -5.838 1.975
H -2.648 -5.723 1.949
H -3.781 -3.568 1.508
H -2.458 -1.541 1.092
F -5.436 -0.805 -2.241
C -4.116 -0.715 -2.007
C -3.355 -1.870 -2.024
C -1.999 -1.775 -1.751
C -1.386 -0.541 -1.500
C -2.199 0.610 -1.514
C -3.566 0.525 -1.757
H -3.828 -2.820 -2.233
H -1.407 -2.683 -1.738
H -1.769 1.582 -1.333
H -4.198 1.403 -1.764
C 1.849 4.488 -2.184
Si 0.487 3.484 -2.972
C 0.422 3.730 -4.813
C -1.143 3.929 -2.171
C 0.862 1.675 -2.613
H 1.675 5.552 -2.356
H 2.826 4.240 -2.600
H 1.892 4.332 -1.104
H 0.189 4.769 -5.051
H -0.346 3.105 -5.272
H 1.378 3.490 -5.282
H -1.322 5.002 -2.273
H -1.147 3.696 -1.104
H -1.979 3.405 -2.637
H 0.848 0.876 -3.352
H 1.088 1.393 -1.617
*
```

Molecular formula: C29H31N3O4Pd
Method: DFT, wB97M-V/def2-TZVPD